RIMS Kôkyûroku Bessatsu , Vol. B11  
1. Finding Rigged Configurations From Paths (New Trends in Combinatorial Representation Theory)--------------------------------------1
    Department of physics, Graduate School of Science, The University of Tokyo   SAKAMOTO, REIHO
2. A $q$-analogue of Catalan Hankel determinants (New Trends in Combinatorial Representation Theory)--------------------------------19
    Faculty of Education, Tottori University / Faculty of Education, Wakayama University / Institut Camille Jordan, Universite Claude Bernard Lyon I   ISHIKAWA, Masao / TAGAWA, Hiroyuki / ZENG, Jiang
3. Tensor Representations for the Quantum Loop Algebras of Type $A$ at Roots of Unity (New Trends in Combinatorial Representation Theory)---43
    Faculty of Science and Technology, Sophia University   ABE, Yuuki
4. The Elliptic Quantum Group $U_{q,p}(\widehat{\mathfrak{sl}}_2)$------------------------------------------------------------------53
    Department of Mathematics, Graduate School of Science, Hiroshima University   KONNO, Hitoshi
********
(1)
## Li3SiSnBO7 (PBE)

Data for a relaxed structure of Li3SiSnBO7.

Computed properties:
Total magnetization (μB/cell): 0.1
Energy (eV/atom): -6.58
Density (kg/m³): 3344
Symmetry: P2_1/m, No. 11
N(E_F) (states/eV/f.u.): 0.00

POSCAR file:
```
Li3SiSnBO7
1.0
-5.2021 4.0183 0.0869
-3.1601 -4.0804 -0.4998
-0.9779 -1.4462 8.3315
O Li Si Sn B
14 6 2 2 2
direct
0.4394 0.8401 0.3032
0.2500 0.3900 0.1141
0.7500 0.9389 0.0736
0.7500 0.5808 0.5419
0.2500 0.4192 0.4581
0.2500 0.5022 0.8303
0.9394 0.1599 0.6968
0.7500 0.6100 0.8859
0.5606 0.1599 0.6968
0.7500 0.4978 0.1697
0.0606 0.8401 0.3032
0.2500 0.8564 0.5906
0.2500 0.0611 0.9264
0.7500 0.1436 0.4094
0.4853 0.2718 0.2479
0.7500 0.2184 0.9001
0.0147 0.2718 0.2479
0.2500 0.7816 0.0999
0.5147 0.7282 0.7521
0.9853 0.7282 0.7521
0.2500 0.7394 0.4205
0.7500 0.2606 0.5795
0.2500 0.2091 0.6790
0.7500 0.7909 0.3210
0.2500 0.3160 0.9667
0.7500 0.6840 0.0333
```

=====

(2)
## LiSm2BO5 (PBE)

Data for a relaxed structure of LiSm2BO5.

Computed properties:
Total magnetization (μB/cell): 0.0
Energy (eV/atom): -7.50
Density (kg/m³): 6427
Symmetry: Cmc2_1, No. 36
N(E_F) (states/eV/f.u.): 0.00

POSCAR file:
```
LiSm2BO5
1.0
-1.0230 2.8970 0.9110
-5.4355 -2.7666 -2.9422
-2.7804 -3.6876 8.6041
Sm B O Li
4 2 10 2
direct
0.1382 0.2763 0.3338
0.8618 0.7237 0.8338
0.8768 0.7537 0.1787
0.1232 0.2463 0.6787
0.5599 0.1199 0.9099
0.4401 0.8801 0.4099
0.6582 0.3163 0.5179
0.3358 0.6716 0.3822
0.4985 0.9969 0.7879
0.3418 0.6837 0.0179
0.0288 0.0577 0.9875
0.5015 0.0031 0.2879
0.2950 0.5901 0.6946
0.6642 0.3284 0.8822
0.7050 0.4099 0.1946
0.9712 0.9423 0.4875
0.8119 0.6238 0.5314
0.1881 0.3762 0.0314
```


Entry 1:
A relaxed ScBeSi2 crystal, computed with PBE-GGA.

Calculated values
Space group: F-43m (216)
Size of the total moment in μB per atom: 0.000
Formation energy from raw total energies in eV per atom: 0.2199

Cell and atoms, written as extended XYZ:
```
4
Lattice="4.400 0.000 0.000 2.200 3.811 0.000 2.200 1.270 3.593" Properties=species:S:1:pos:R:3 pbc="T T T"
Sc 2.200 1.270 0.898
Be 4.400 2.540 1.796
Si 0.000 0.000 0.000
Si 6.600 3.811 2.694
```



Entry 2:
A relaxed Sc3Be2Si4 crystal, computed with PBE-GGA.

Calculated values
Space group: C2/m (12)
Size of the total moment in μB per atom: 0.000
Formation energy from raw total energies in eV per atom: -0.6103

Cell and atoms, written as extended XYZ:
```
9
Lattice="-2.438 -1.310 -2.621 1.000 -3.697 3.689 -5.585 3.903 3.244" Properties=species:S:1:pos:R:3 pbc="T T T"
Sc -5.017 0.519 1.635
Sc 0.000 0.000 0.000
Sc -2.006 -1.624 2.677
Be -2.843 -0.510 0.129
Be -4.179 -0.594 4.184
Si -1.669 -2.274 -0.082
Si -5.353 1.169 4.395
Si -4.845 -2.068 2.769
Si -2.177 0.963 1.544
```



Entry 3:
A relaxed ScBeSi crystal, computed with PBE-GGA.

Calculated values
Space group: P-6m2 (187)
Size of the total moment in μB per atom: 0.000
Formation energy from raw total energies in eV per atom: -0.6050

Cell and atoms, written as extended XYZ:
```
3
********
5. Thom polynomials and around (New Trends in Combinatorial Representation Theory)--------------------------------------------------75
    Department of Mathematics, Hokkaido University   Ohmoto, Toru
6. Double Schubert polynomials of classical type and Excited Young diagrams (New Trends in Combinatorial Representation Theory)-----87
    Okayama University of Science / Okayama University   IKEDA, Takeshi / NARUSE, Hiroshi
7. Universal Tropical R map of $\mathfrak{sl}_2$ and Prehomogeneous Geometric Crystals (New Trends in Combinatorial Representation Theory)---101
    Department of Mathematics, Sophia University   NAKASHIMA, Toshiki
8. On the structure of parabolic Humphreys-Verma modules (New Trends in Combinatorial Representation Theory)-----------------------117
    Osaka City University, Department of Mathematics   KANEDA, Masaharu
9. A product formula for decomposition numbers of the cyclotomic $q$-Schur algebra and its analogue for the Fock space (New Trends in Combinatorial Representation Theory)---125
    Graduate School of Mathematics, Nagoya University   Wada, Kentaro
10. Catalan numbers and level 2 weight structures of $A^{(1)}_{p-1}$ (New Trends in Combinatorial Representation Theory)-----------145
    RIMS, Kyoto University   Tsuchioka, Shunsuke
11. Uno's conjecture for the exceptional Iwahori-Hecke algebras (New Trends in Combinatorial Representation Theory)----------------155
    Graduate School of Mathematics, Nagoya University   MIYACHI, Hyohe
12. Infinite Pre-dominant Integral Weights for Affine Types (New Trends in Combinatorial Representation Theory)--------------------179
    Research Institute for Mathematical Sciences, Kyoto University   NAKADA, KENTO
13. Iwahori-Hecke type algebras associated with the Lie superalgebras $A(m, n), B(m, n), C(n)$ and $D(m, n)$ (New Trends in Combinatorial Representation Theory)---197
    Department of Pure and Applied Mathematics, Graduate School of Information Science and Technology, Osaka University   YAMANE, HIROYUKI